February 2016 - Highwood Bocce Courts


February 2016 - Highwood Bocce Courts
February 2016
Dear Highwood Bocce Friends,
First, I would like to thank each of you for giving me the privilege to serve as
your elected president for 2016/2017. It is my great honor to be part of the
Highwood Bocce Club and our community. I care deeply about our club and
would like to make it even more enjoyable as we work together to continue a
great camaraderie. I would also like to take this opportunity to thank the
previous administration and the amazing volunteers for their wonderful
As we look into 2016, we see 12 months, 52 weeks, 365 days, 8,760 hours,
525,600 minutes, 31,536 seconds…all of it is a gift from God. Time is one of the
most precious possessions. We need your precious time to help do all of the
great things that are accomplished by the Bocce club each year. We can use
all of your talents. With our current 477 members, we know you are our biggest
advocates. Our goal is to perpetuate the heritage of all Italian Americans,
heighten the awareness of the Italian culture and participate in social activities.
Events are planned to enrich the lives of our members and your continued
support and attendance to functions allows us to be part of an on-going
growing organization for our children, their children and so on.
The Highwood Bocce Club is actively building its’ membership. For us to be
successful, it is important that our members support the club as well as attend
the social events. Therefore, our goal is for each member to bring a guest who
would possibly be interested to be a part of the Club.
(continued on next page)
Contact Us
440 Bank Lane, Highwood IL 60040
(847) 926-8118
February 2016
The Highwood Bocce Club welcomes members of all ages, nationalities and
backgrounds. All that is required is a desire to socialize with folks who have an
interest in things “Italian” and persons who want to share a diverse collection of
Italian American experiences. Young families, neighbors, co-workers, friends,
and friends of friends are welcome and appreciated.
At this time, I invite you to fill out the survey enclosed and appreciate your
insight. I am looking forward to incorporating some of your suggestions and
value each of your opinions. It is our responsibility as a board to listen to what
members want. After all, that’s why we have a club. Through the survey and
meetings, I want to give members a chance to express their ideas too. Please
help us with honest, sincere answers. We are looking to improve our club, not
criticize it. Therefore, all of your input is very important.
This is a good start so we can put our goals into place and create a wonderful,
fun atmosphere where friendships are continued and new ones are made
along the way. The survey is due back no later than February 28th. The survey
can be done anonymously, just drop it in the mail. You can also either return by
email or mail it with a stamp just as well to my attention.
In closing, I feel the Highwood Bocce Club is truly a very special place, where
old and new friends meet and gather, a place where special memories are
made. May we continue a new vision for the future and be proud of our
humble beginnings that have molded our club into what it is today. On behalf
of the executive board and myself, we wish all of you and your family a very
happy, healthy upcoming new year! As always, I say get involved “it’s your
club”...together, we can make a difference!
Thanking you once again, your President,
Peter Pieracci
February 2016
Highwood Bocce Club – Membership Survey
We value your opinion! Please help us with honest, sincere answers. We are looking to
improve our club (not criticize it). Your response is greatly appreciated! You may include
your name below or submit anonymously - it’s up to you. Please return to the Club (in
person, US mail, or email) by Feb. 28th. See Club contact information on page 1.
1. How long have you been a member of the Highwood Bocce Club?
2. Why did you originally join the club?
3. Do you consider yourself an active member or inactive member?
4. What would make you become more involved in the club?
5. What is the most important function you attend?
6. What types of things would you do to improve the club?
7. What types of events would you like to see at the club?
8. What things do you still enjoy about the club?
9. Would you encourage a friend or neighbor or co-worker to join the Club?
10. What changes would you like to see for the future of the Club?
11. Would you be interested to volunteer at any event? Which one?
12. Please share any suggestions you may have as a member of the Club.
Name: ___________________________________
email address: ___________________________________
Phone Number: __________________________
birthdate (mm/dd/yy): ___________________________
February 2016
If you have not already renewed your membership,
would like to join as a new member, please complete the
below form and return to the Club.
February 2016
2016 Calendar of Events
General Membership Meeting –
(Transition to New Administration)
14th Annual Players Invitational
Valentine’s Day Members Dinner
Easter Coccetto
4 Person Bocce Tournament
General Membership Meeting
Member Dinner Dance
Elvis Night
US Bocce National Championship
Tournament @ Livermore, CA
General Membership Meeting
Feste di Amici (Festival of Friends)
Members Dinner Dance
4 or 5 Annual Membership Picnic
50s/60s Night
General Membership Meeting
Halloween Party
Members Dinner Dance
Children’s Christmas Party w/ Modenese
Member’s Annual New Year’s Eve Party
All events will be posted at the Club and can always be
found at our website.
(runs through July 2)
HBC Hours and Club/Court Rules
Club Hours
Opening Times:
12 noon
Monday - Saturday 6:30 PM
Club/Court Rules
• For liability reasons, alcohol cannot
be brought in from outside the Club
The Club is not open on Mondays between
and including Memorial Day and Labor Day.
• To protect our world-class courts,
members or guests MUST wear a
different pair of shoes then what
they walked in with and they must
be flat-soled shoes. No Exceptions.
The Club may be closed for large private
parties on Saturdays that use the courts, bar,
and banquet room areas.
• Non-member guests should be
accompanied by a guest when
visiting the Club
Courts Only Opening Times:
Daily at 1:30 PM
February 2016
HBC Announcements
On January 10th the new Board was
inducted for 2016-2017.
President: Peter Pieracci
Vice President: Luigi Lunardi
Treasurer: Dave Massello
Secretary: Tom Holleman (interim)
Trustees: Luciano Brogi, Paolo
Giannetti, Tom Holleman, Maurizio
Perrelli, Vic Picchietti, Henry
Pieracci, Peter Serafini
Thanks to the previous Board for a
wonderful two years!
President: Lenny Innocenzi
Vice President: Jack Grandi
Treasurer: Sil Maiorano
Secretary: Tom Holleman
Trustees: Judy Amidei, Susan
Hauer, Vic Picchietti, Alex Serafini,
Emilio Santi
Bocce Tournament Champions!!!
Our own HBC team of
Paolo Giannette, Tony
Biondi, Mario Galletti,
and George Minorini
(top picture) were
Champions of the 7th
Annual Roma House
Winter Bocce
Tournament in Racine.
The team of Lio
Giannotti, George
Minorini, Pietro
Giannotti, Tom
Pignatari (bottom
picture) took home first
place at our own 14th
Annual Players
Invitational Tournament.
Welcome to our 35 new members (so far) in 2016…
Blake Anicchini
Massimo Barigazzi
Linda Biondi
Richard Biondi
Craig Boroughf
Ted Breiter
Marcy Calaway
Ronald Caras
Mike Chamberlin
Dean DeBiase
Linda DeBiase
Andy Di Vecchio
Raoul (Rocky) Elli
Cesare Fontanini
Materials data that have nothing to do with the page:
-- begin --
Density functional theory data (PBE-GGA) for BaCuBi2S4 after structural relaxation.

a b c (Å): 4.376 13.082 14.032
angles (deg): 90.00 90.00 90.00
Space group Cmcm (No. 63)
One atom of each set of equivalent atoms:
Ba 0.000 0.119 0.250 (multiplicity 4)
Cu 0.000 0.146 0.750 (multiplicity 4)
Bi 0.000 0.373 0.052 (multiplicity 8)
S 0.000 0.000 0.000 (multiplicity 4)
S 0.000 0.263 0.618 (multiplicity 8)
S 0.000 0.435 0.250 (multiplicity 4)

Results
- Electronic total energy: -143.33 eV per cell
-- stop --
So much for the materials data:
Al Kruse
Jonathan Laurens
Frank Mugnaini
Kent Novit
Steve Olincy
Tricia Ori
Walter Parenti
Frank E. Pasquesi
Joe Pasquesi
Mark A. Pasquesi
Romana Picchietti
Janet Pieracci
John Pieracci
Lilia Pieracci
Rose Puccio
Andy Rauch
Sara Rauch
Giovanni Rinaldi
Steve Serck
Angela Vanoni
Angelo Vanoni
Rent our Courts and/or Host a Party at the Highwood Bocce Club!
The Highwood Bocce Club offers a clean, festive atmosphere combined with a world-class
bocce facility, fully-staffed banquet rooms and bar. Our extremely reasonable rates make it
the perfect venue for family gatherings, professional parties and celebrations of any kind!
Bocce courts rent for $50 per court (up to 4 total) and menus can be prepared for $20-50 per
person depending on your budget, tastes, and event.
If you are interested in holding an event at the club, please contact us.
Donna Pieracci: (847) 748-8807
Peter Pieracci: (847) 337-1883 or peter.pieracci@yahoo.com